YOU: The Alchemist Of Your Life

When we learn of individuals being displaced from their countries of origin, or prevented from entering the borders of another, let us include them in our daily prayers. Borders, be they of land or of the heart, are artificial. Through our spiritual practices we can build a bridge of compassion to walk across and rekindle an awareness of our oneness with all that is, with Source. And when we do, our heart will become intoxicated with a divine love that is known to those who embody such a consciousness.

The great God of the universe is my constant companion!

Heaven breaks out all over my life!

I am backed by an economy of love, beauty, joy and creativity!

A field of intelligence inspires my thoughts, words and actions!

A perfect pattern of wholeness sources my body temple!

I am lifted! I am gifted! I rise in God!

So be it! Amen!

YOU: The Alchemist Of Your Life

Cosmic contracts are based on the universal principle of oneness, on the Reality that all existence has emerged from one Source and therefore forms the DNA of every man, woman, and child gracing the planet. As an interconnected cosmic family, the question to place before ourselves is, how can we individually spark this precious recognition to emerge. One that says, “If you, my sister, are hungry, then I too am hungry. Please sup at my table.” If you, my brother, shiver, I too am cold. Please warm yourself by my fire.”
As Spirit spoke through Jesus the Christ, “…inasmuch as ye have done it unto one of the least of these my brethren, ye have done it unto me.”

I am a great participant in the ever expanding good that is God!

Sincerity, earnestness and resolve are my qualities of Being!

Beauty, health and wholeness express as my body temple!

My bank of universal good never runs out!

This is the new set point for the rest of my life!

Gratefully I take the dare and live life fully!

And so it is! Amen!

Supreme Interest: Amazing Dividends to Behold

Gratitude is the sincerest prayer of the heart, arising from a recognition of the precious human incarnation each of us has been given. We then walk through life in humble awe of the realization that Spirit inseparably, purposely individualized itself as “me.” Is there a more ultimate gift than to know, deep in our beingness, that we are made of God-stuff, that we have been equipped with all that we need to come into full realization of our oneness with pure Spirit?

I am aglow with the dynamic energy of pure spirit!

The power of my sacred yes amplifies the God qualities within me!

Love is my inspiration, my conversation and my life!

Peace is my natural state and my holy charge!

Abundance is my divine right flowing to me and through me!

Gratitude is my way of seeing and being!

I am a mighty force of God consciousness on this planet!

And so it is! Amen

Supreme Interest: Amazing Dividends to Behold

Although in general grace is associated with religious language, it is a transcendent energy frequency that is the antidote to the mind chatter that gives rise to fear, to a sense of lack or limitation in any aspect of our lives. Grace is not something we earn. It is not something given to the seemingly saintly few. Just as the light shines equally on the charcoal and the diamond, the energy of grace is freely poured into the lives of all beings. It is a gift of Spirit that accompanies us, that caresses us as we evolve beyond ego fulfillment to soul-enrichment. 

Quantum chemistry results, as found in the file >
+++
Below is a structure of composition C45H37EuF9N3O2PS at a distorted geometry, with properties calculated with ωB97M-V/def2-TZVPD.

Geometry as XYZ:
```
99
Properties=species:S:1:pos:R:3:mulliken_charge:R:1
H 5.7104 3.0780 -2.0843 0.3925
F -7.3966 2.7460 -2.9978 -0.2501
C -3.9172 2.2532 -2.7891 -0.7324
C -2.0618 -1.7598 -0.6230 0.8864
C -2.9859 1.7124 -1.9487 -0.1835
H 4.0423 2.6782 -2.5169 0.2592
C 1.9810 0.2392 -3.7809 -1.0383
F -2.7405 -0.9557 6.5723 -0.2720
C -2.6332 -0.2185 1.6463 0.5139
H -4.9681 -0.5458 -0.3220 0.4562
H 2.9668 -6.7705 0.5578 0.4068
H 4.4131 4.2371 -1.7227 0.2943
C 2.8285 -0.8478 -1.7899 0.7888
H -6.6486 0.4034 -1.8735 0.4362
H 4.2870 0.3205 3.5369 0.2643
C 4.0771 -1.0239 -2.4185 -0.8148
O 1.2606 -0.9927 0.3818 -0.1591
C -3.3269 0.6862 -1.0454 0.1701
C 4.0921 -4.9317 0.5750 -0.7548
F -2.9081 -6.0608 -3.0089 -0.2800
C 3.1698 2.2969 -0.1524 0.4247
H -1.2690 4.4572 -0.6121 0.5149
F -5.8390 3.3637 -4.4043 -0.2761
C -5.6102 0.7460 -1.8820 -1.2396
C -2.6668 -2.8383 0.0531 -0.2590
C -0.9288 2.7862 2.3585 -0.4785
H 2.2916 5.6789 2.9469 0.4379
C -3.3392 -0.3720 4.3244 0.4201
H -2.6042 3.0838 1.0094 0.4367
C -2.1984 -1.0389 3.9031 -0.9824
H 6.4904 2.6064 0.1460 0.5173
H 0.7389 -3.1348 -0.1545 0.1009
H 2.9186 5.0318 1.4401 0.2974
C -5.2128 1.7516 -2.7532 0.3760
H 1.0335 5.2070 -0.0226 0.3599
C 5.4814 2.2853 0.4246 -0.4018
H -3.1597 -4.9295 0.0804 0.4729
C -1.8556 -0.9675 2.5611 -0.6168
H -0.9859 -1.2722 -2.4582 0.3517
C 0.3285 3.2806 2.7225 -0.5709
N 3.5080 0.7276 3.0366 -0.2554
H 2.5707 0.4039 3.2329 0.1541
Eu 0.4493 1.4029 0.2575 1.0376
C 1.7240 -5.0650 0.0447 -0.6145
C -4.6636 0.2365 -1.0399 -0.1908
N 4.4806 2.5214 -0.4801 0.3193
H 5.0348 -5.3956 0.8916 0.3921
C 2.8551 -2.9433 0.0644 0.4616
H -1.9791 2.1355 -2.0039 0.2948
C 0.9924 4.2554 1.9388 1.0610
F -1.9314 -6.7142 -1.2036 -0.2691
H -5.0754 0.8393 3.7999 0.4382
H -1.5996 -1.6286 4.6190 0.5019
C -1.4055 -2.0681 -1.8371 -1.0036
H 5.9345 1.4140 2.3705 0.4819
C 0.4689 4.5535 0.6752 -0.6103
C -1.2761 -3.3600 -2.3050 -1.0817
C -6.2629 2.2955 -3.6616 0.6398
H 0.8190 -5.6617 -0.1067 0.4417
C 2.3402 4.7699 2.3319 -1.3661
H -0.9743 -1.4943 2.2207 0.6656
H 1.1749 0.8002 -4.2611 0.4762
H 4.9581 -2.9139 0.4854 0.4325
H -0.6913 -3.6086 -3.2133 0.4594
H 4.9132 -1.4628 -1.8544 0.3983
C -1.9192 -4.3652 -1.5993 0.5773
S 2.7423 -1.1811 -0.0212 0.2980
C -1.8784 -5.7382 -2.1548 0.8718
F -4.1257 0.7106 6.3269 -0.2628
F -6.7519 1.3921 -4.5842 -0.2444
H 5.2007 -0.8230 -4.2755 0.4100
P -2.1245 -0.1022 -0.0456 1.3985
C -2.6480 -4.1187 -0.4512 -1.1197
H -3.6373 3.0700 -3.4774 0.4688
C 4.6698 3.1798 -1.7747 -0.9383
C 4.0762 -3.5526 0.3834 -0.4578
H 0.7981 2.9862 3.6663 0.5064
C -0.8038 4.0725 0.3044 -0.7863
C 1.6789 -3.6750 -0.0377 0.0320
C 1.7785 -0.2863 -2.5020 1.2922
C -4.1327 0.3761 3.4704 -1.2325
C 3.1960 0.0108 -4.4324 -0.5599
C 4.2508 -0.6350 -3.7429 -0.7744
F -4.8211 -1.3109 5.9907 -0.2450
C 5.1804 1.6531 1.6021 -1.0113
N 2.8581 1.7431 1.0483 0.6950
C -3.7391 -0.4948 5.7539 0.6732
+++

My life vibrates in Oneness and radiates with the love of God!

Every cell of my body temple celebrates health and wholeness!

Infinite energy and inexhaustible good overflow every area of my life!

Every day is a joyful journey in the eternal presence of peace and wholeness!

The face of God greets me everywhere I go!

In gratitude and thanksgiving I let it be!

And so it is! Amen

Supreme Interest: Amazing Dividends to Behold

Through Jesus’s conscious union and communion with Spirit, he received a revelation of a promise etched in forever: there is nothing, absolutely nothing that can separate us from our Creator Source and its unconditional love for each and every one of us. This is our eternal,
divine inheritance in spite of any and all appearances. This mystical union between the soul and Spirit is the supreme love we are all seeking. We taste an appetizer of it in all forms of human
love until the day comes that we feast upon the formless entrée of Divine Love itself.

My life is lived on a wave of creative genius!

All that I need is within me and I manifest it with grace and ease!

Between two parts of the page: data records.
┌──
1.
Computed, not measured: C34H24BrN6O4RhS2 as an isolated structure in a non-equilibrium geometry, with ωB97M-V with the def2-TZVPD basis set.

Output
spin multiplicity	1
molecular weight	827.55	g/mol
Kohn-Sham gap	7.00	eV

Last column: Mulliken charge in e.
CARTESIAN COORDINATES (ANGSTROEM)
Rh (0.40130, 0.15269, 0.00178)  -0.068
Br (0.69860, -6.58381, -0.23882)  -0.224
S (-0.97050, 0.44149, -4.71232)  -0.247
S (0.39290, 4.97919, -0.46712)  -0.251
O (-1.88840, -1.13761, 1.86218)  -0.525
O (-1.67410, 0.24659, 0.12498)  -0.399
O (-8.49540, 0.54869, -0.29782)  -0.615
O (-8.63360, -0.06681, 1.77828)  -0.616
N (-0.18470, 0.38099, -2.23842)  1.381
N (0.35870, 2.38729, -0.34542)  0.683
N (-7.99450, 0.18439, 0.76178)  0.983
N (-0.60190, -1.74161, -3.17482)  -0.320
N (2.45840, 0.25589, 0.03888)  1.166
N (0.79970, 3.43909, 1.71408)  -0.380
C (-0.57370, -0.40211, -3.19682)  -0.303
C (-5.97740, -0.41571, 1.98378)  -0.545
C (2.19280, -0.09531, 3.73058)  -0.958
C (0.09630, 2.70709, -1.65492)  -0.294
C (2.95520, 0.20139, -2.32262)  0.095
C (4.76760, 0.32189, -0.73442)  1.121
C (1.75650, -2.57391, -0.05392)  -0.813
C (0.63530, -4.68131, -0.21532)  -0.286
C (-0.57190, 1.91939, -3.93732)  -0.697
C (0.09390, 4.09149, -1.90332)  -0.839
C (1.95700, 0.13679, 2.35988)  1.847
C (-0.31790, 0.81329, 2.89998)  1.401
C (5.21880, 0.37419, -3.11212)  -0.658
C (1.80740, -3.95661, -0.09242)  -0.731
C (-0.57880, -4.03061, -0.33712)  -0.522
C (5.23220, 0.23639, 0.60708)  -1.219
C (4.31740, 0.10519, 1.60928)  -1.405
C (3.86130, 0.25559, -3.36552)  -0.978
C (-4.45220, 0.23499, -0.26432)  -0.343
C (2.94440, 0.14499, 1.33888)  0.753
C (-0.02540, 0.69109, 4.25208)  -1.031
C (-3.84130, -0.23731, 0.89698)  0.049
C (3.36210, 0.26999, -0.98192)  -0.460
C (0.62860, 0.44569, 1.95278)  -1.674
C (-2.35540, -0.40651, 0.99338)  0.372
C (0.54530, -1.87531, -0.11472)  1.032
C (-0.20250, 1.70729, -2.59622)  -0.377
C (-5.82070, 0.37679, -0.31002)  -0.502
C (1.21370, 0.18379, 4.65188)  -1.041
C (0.51840, 3.43409, 0.40658)  0.058
C (5.66240, 0.39359, -1.80122)  -0.788
C (-0.61470, -2.64361, -0.29832)  -0.391
C (-4.61070, -0.56671, 2.01538)  -0.592
C (-6.58130, 0.04559, 0.81288)  -0.100
H (6.71990, 0.43759, -1.58212)  0.412
H (3.49780, 0.18839, -4.38092)  0.505
H (2.75690, -4.46571, -0.01832)  0.471
H (-4.10470, -0.93441, 2.89518)  0.515
H (-0.52420, -2.19711, -2.26942)  0.168
H (-0.75330, 0.98289, 4.99418)  0.473
H (2.70600, -2.06721, 0.03028)  0.257
H (-1.29020, 1.18309, 2.60538)  0.629
H (0.75100, 4.30329, 2.22428)  0.207
H (-1.10150, -2.21601, -3.90692)  0.235
H (-3.84070, 0.48569, -1.11892)  0.539
H (1.90840, 0.07259, -2.52842)  0.417
H (6.29350, 0.23579, 0.80398)  0.431
H (-0.66680, 2.84779, -4.45462)  0.439
H (-1.58570, -2.17441, -0.37012)  0.767
H (1.40790, 0.03529, 5.70408)  0.396
H (5.92350, 0.41539, -3.92702)  0.404
H (-0.08970, 4.59229, -2.82682)  0.441
H (3.14950, -0.47531, 4.05718)  0.446
H (4.64000, -0.00781, 2.63108)  0.435
H (0.71740, 2.56019, 2.22098)  0.194
└──

I live God’s vision for my life with dignity, elegance and style!

Love goes before me to guide my steps and light my way!

I declare it! I decree it! And I am happy to be it!

This is a new day and I gratefully rejoice in it!

And so it is! Amen